[File]
____________
[1]
C32H37ClN2PbSi2 as an isolated structure. Source: the Open Molecules 2025 dataset; level of theory: ωB97M-V/def2-TZVPD.

Last column: Löwdin charge in e.
Element x y z (Å)
1 C -2.38 -1.18 5.80  -0.07
2 C -3.13 -0.49 4.80  -0.08
3 C -3.05 -1.24 3.59  -0.23
4 H -3.71 0.43 4.96  0.12
5 C -2.23 -2.38 3.83  -0.07
6 C -1.81 -2.34 5.19  -0.08
7 H -1.16 -3.06 5.68  0.11
8 H -2.30 -0.89 6.85  0.12
9 H -3.62 -1.05 2.68  0.08
10 H -1.99 -3.16 3.10  0.11
11 Pb -1.04 0.71 2.06  1.15
12 Si -1.32 0.05 -2.57  0.88
13 C -0.99 1.42 -3.79  -0.33
14 C 0.31 1.28 -4.31  -0.12
15 H 0.86 0.33 -4.19  0.10
16 C 0.91 2.36 -4.95  -0.07
17 H 1.93 2.23 -5.30  0.12
18 C 0.19 3.54 -5.13  -0.06
19 H 0.65 4.36 -5.69  0.12
20 C -1.11 3.65 -4.65  -0.07
21 H -1.68 4.56 -4.81  0.11
22 C -1.71 2.60 -3.94  -0.10
23 H -2.70 2.69 -3.49  0.11
24 C -0.96 -1.33 -3.98  -0.26
25 C -1.53 -1.23 -5.29  -0.09
26 H -2.41 -0.61 -5.46  0.12
27 C -0.92 -1.82 -6.40  -0.06
28 H -1.30 -1.64 -7.41  0.12
29 C 0.22 -2.63 -6.26  -0.06
30 H 0.77 -2.99 -7.14  0.12
31 C 0.63 -2.90 -4.95  -0.07
32 H 1.48 -3.55 -4.79  0.11
33 C -0.01 -2.34 -3.82  -0.12
34 H 0.31 -2.71 -2.84  0.08
35 H -2.67 -0.13 -1.98  0.02
36 Si 2.68 -0.23 -1.46  0.95
37 C 1.91 -1.58 -0.32  -0.32
38 C 0.58 -1.97 -0.54  -0.19
39 H 0.06 -1.52 -1.38  0.02
40 C -0.09 -2.95 0.17  -0.08
41 H -1.13 -3.20 -0.05  0.12
42 C 0.56 -3.63 1.19  -0.08
43 H 0.05 -4.42 1.76  0.12
44 C 1.88 -3.27 1.46  -0.08
45 H 2.41 -3.83 2.24  0.12
46 C 2.57 -2.30 0.71  -0.08
47 H 3.63 -2.12 0.93  0.12
48 C 1.43 1.19 -1.54  -0.33
49 C -0.04 1.09 -1.30  -0.39
50 H -0.33 0.26 -0.63  0.00
51 C -0.77 2.34 -1.07  -0.14
52 H -1.85 2.32 -0.87  0.12
53 C -0.17 3.56 -1.20  -0.05
54 H -0.78 4.47 -1.13  0.14
55 C 1.17 3.65 -1.57  0.02
56 H 1.61 4.63 -1.79  0.14
57 C 1.94 2.49 -1.73  -0.09
58 H 2.98 2.65 -2.05  0.13
59 H 3.90 0.27 -1.00  -0.05
60 Cl 1.37 1.30 1.59  0.04
61 N 0.78 -0.77 3.87  -0.03
62 C 1.37 -0.57 5.22  -0.24
63 C 0.80 0.64 5.93  -0.18
64 C 0.93 1.91 5.09  -0.25
65 N -0.30 2.10 4.29  -0.09
66 H 1.50 -0.46 3.21  -0.03
67 H 0.63 -1.76 3.67  0.06
68 H 1.12 -1.45 5.82  0.11
69 H 2.47 -0.46 5.15  0.13
70 H -0.27 0.47 6.18  0.10
71 H 1.35 0.80 6.88  0.13
72 H 1.07 2.78 5.75  0.13
73 H 1.79 1.88 4.41  0.09
74 H -1.10 2.15 4.93  0.08
75 H -0.27 2.99 3.80  0.07

## Properties
2S+1: 1
Orbital gap (spin up / spin down), eV: 5.551 / 5.738
HOMO level (spin up / spin down), hartree: -0.476 / -0.490
Lowest unoccupied orbital energy (spin up / spin down), Eh: -0.2723 / -0.2790
Energy above the lowest of the compared OMol25 structures with the same formula, charge and spin, kcal per mole: 51.1
Charge: +2
Molecular weight, g mol⁻¹: 748.49

[2]
C32H37ClN2Si2Y as an isolated structure. Source: the Open Molecules 2025 dataset; level of theory: ωB97M-V/def2-TZVPD.

Last column: Löwdin charge in e.
Element x y z (Å)
1 C -1.10 -1.28 0.22  -0.21
2 C -1.77 -0.71 -0.91  -0.18
3 C -1.93 -1.75 -1.87  -0.19
4 H -2.19 0.29 -0.98  0.11
5 C -1.32 -2.94 -1.37  -0.18
6 C -0.82 -2.65 -0.07  -0.21
7 H -0.39 -3.38 0.62  0.12
8 H -0.97 -0.78 1.18  0.10
9 H -2.52 -1.69 -2.79  0.11
10 H -1.31 -3.91 -1.86  0.12
11 Y 0.68 -1.30 -1.64  1.16
12 Si 1.81 2.88 -4.20  0.76
13 C 0.41 3.99 -4.77  -0.33
14 C 0.50 4.71 -5.97  -0.11
15 H 1.42 4.65 -6.56  0.10
16 C -0.57 5.49 -6.42  -0.08
17 H -0.49 6.03 -7.36  0.11
18 C -1.75 5.58 -5.67  -0.08
19 H -2.59 6.18 -6.02  0.11
20 C -1.82 4.92 -4.44  -0.08
21 H -2.71 5.02 -3.82  0.11
22 C -0.74 4.15 -3.98  -0.12
23 H -0.80 3.68 -2.99  0.09
24 C 1.23 1.09 -4.22  -0.33
25 C -0.09 0.74 -3.93  -0.14
26 H -0.81 1.51 -3.63  0.11
27 C -0.57 -0.58 -4.20  -0.26
28 H -1.64 -0.75 -4.28  0.12
29 C 0.32 -1.72 -3.99  -0.34
30 H -0.03 -2.75 -3.87  0.15
31 C 1.73 -1.37 -4.21  -0.22
32 H 2.49 -2.15 -4.18  0.09
33 C 2.03 -0.03 -4.65  -0.16
34 H 3.02 0.16 -5.09  0.14
35 H 1.98 3.28 -2.78  -0.03
36 Si 0.57 -1.04 -5.68  0.63
37 C 0.65 -2.52 -6.87  -0.20
38 C -0.21 -2.54 -7.97  -0.08
39 H -1.04 -1.83 -8.03  0.11
40 C 0.00 -3.43 -9.03  -0.06
41 H -0.64 -3.38 -9.91  0.11
____________
[What to do]
Echo everything above verbatim.
[Done]
[1]
C32H37ClN2PbSi2 as an isolated structure. Source: the Open Molecules 2025 dataset; level of theory: ωB97M-V/def2-TZVPD.

Last column: Löwdin charge in e.
Element x y z (Å)
1 C -2.38 -1.18 5.80  -0.07
2 C -3.13 -0.49 4.80  -0.08
3 C -3.05 -1.24 3.59  -0.23
4 H -3.71 0.43 4.96  0.12
5 C -2.23 -2.38 3.83  -0.07
6 C -1.81 -2.34 5.19  -0.08
7 H -1.16 -3.06 5.68  0.11
8 H -2.30 -0.89 6.85  0.12
9 H -3.62 -1.05 2.68  0.08
10 H -1.99 -3.16 3.10  0.11
11 Pb -1.04 0.71 2.06  1.15
12 Si -1.32 0.05 -2.57  0.88
13 C -0.99 1.42 -3.79  -0.33
14 C 0.31 1.28 -4.31  -0.12
15 H 0.86 0.33 -4.19  0.10
16 C 0.91 2.36 -4.95  -0.07
17 H 1.93 2.23 -5.30  0.12
18 C 0.19 3.54 -5.13  -0.06
19 H 0.65 4.36 -5.69  0.12
20 C -1.11 3.65 -4.65  -0.07
21 H -1.68 4.56 -4.81  0.11
22 C -1.71 2.60 -3.94  -0.10
23 H -2.70 2.69 -3.49  0.11
24 C -0.96 -1.33 -3.98  -0.26
25 C -1.53 -1.23 -5.29  -0.09
26 H -2.41 -0.61 -5.46  0.12
27 C -0.92 -1.82 -6.40  -0.06
28 H -1.30 -1.64 -7.41  0.12
29 C 0.22 -2.63 -6.26  -0.06
30 H 0.77 -2.99 -7.14  0.12
31 C 0.63 -2.90 -4.95  -0.07
32 H 1.48 -3.55 -4.79  0.11
33 C -0.01 -2.34 -3.82  -0.12
34 H 0.31 -2.71 -2.84  0.08
35 H -2.67 -0.13 -1.98  0.02
36 Si 2.68 -0.23 -1.46  0.95
37 C 1.91 -1.58 -0.32  -0.32
38 C 0.58 -1.97 -0.54  -0.19
39 H 0.06 -1.52 -1.38  0.02
40 C -0.09 -2.95 0.17  -0.08
41 H -1.13 -3.20 -0.05  0.12
42 C 0.56 -3.63 1.19  -0.08
43 H 0.05 -4.42 1.76  0.12
44 C 1.88 -3.27 1.46  -0.08
45 H 2.41 -3.83 2.24  0.12
46 C 2.57 -2.30 0.71  -0.08
47 H 3.63 -2.12 0.93  0.12
48 C 1.43 1.19 -1.54  -0.33
49 C -0.04 1.09 -1.30  -0.39
50 H -0.33 0.26 -0.63  0.00
51 C -0.77 2.34 -1.07  -0.14
52 H -1.85 2.32 -0.87  0.12
53 C -0.17 3.56 -1.20  -0.05
54 H -0.78 4.47 -1.13  0.14
55 C 1.17 3.65 -1.57  0.02
56 H 1.61 4.63 -1.79  0.14
57 C 1.94 2.49 -1.73  -0.09
58 H 2.98 2.65 -2.05  0.13
59 H 3.90 0.27 -1.00  -0.05
60 Cl 1.37 1.30 1.59  0.04
61 N 0.78 -0.77 3.87  -0.03
62 C 1.37 -0.57 5.22  -0.24
63 C 0.80 0.64 5.93  -0.18
64 C 0.93 1.91 5.09  -0.25
65 N -0.30 2.10 4.29  -0.09
66 H 1.50 -0.46 3.21  -0.03
67 H 0.63 -1.76 3.67  0.06
68 H 1.12 -1.45 5.82  0.11
69 H 2.47 -0.46 5.15  0.13
70 H -0.27 0.47 6.18  0.10
71 H 1.35 0.80 6.88  0.13
72 H 1.07 2.78 5.75  0.13
73 H 1.79 1.88 4.41  0.09
74 H -1.10 2.15 4.93  0.08
75 H -0.27 2.99 3.80  0.07

## Properties
2S+1: 1
Orbital gap (spin up / spin down), eV: 5.551 / 5.738
HOMO level (spin up / spin down), hartree: -0.476 / -0.490
Lowest unoccupied orbital energy (spin up / spin down), Eh: -0.2723 / -0.2790
Energy above the lowest of the compared OMol25 structures with the same formula, charge and spin, kcal per mole: 51.1
Charge: +2
Molecular weight, g mol⁻¹: 748.49

[2]
C32H37ClN2Si2Y as an isolated structure. Source: the Open Molecules 2025 dataset; level of theory: ωB97M-V/def2-TZVPD.

Last column: Löwdin charge in e.
Element x y z (Å)
1 C -1.10 -1.28 0.22  -0.21
2 C -1.77 -0.71 -0.91  -0.18
3 C -1.93 -1.75 -1.87  -0.19
4 H -2.19 0.29 -0.98  0.11
5 C -1.32 -2.94 -1.37  -0.18
6 C -0.82 -2.65 -0.07  -0.21
7 H -0.39 -3.38 0.62  0.12
8 H -0.97 -0.78 1.18  0.10
9 H -2.52 -1.69 -2.79  0.11
10 H -1.31 -3.91 -1.86  0.12
11 Y 0.68 -1.30 -1.64  1.16
12 Si 1.81 2.88 -4.20  0.76
13 C 0.41 3.99 -4.77  -0.33
14 C 0.50 4.71 -5.97  -0.11
15 H 1.42 4.65 -6.56  0.10
16 C -0.57 5.49 -6.42  -0.08
17 H -0.49 6.03 -7.36  0.11
18 C -1.75 5.58 -5.67  -0.08
19 H -2.59 6.18 -6.02  0.11
20 C -1.82 4.92 -4.44  -0.08
21 H -2.71 5.02 -3.82  0.11
22 C -0.74 4.15 -3.98  -0.12
23 H -0.80 3.68 -2.99  0.09
24 C 1.23 1.09 -4.22  -0.33
25 C -0.09 0.74 -3.93  -0.14
26 H -0.81 1.51 -3.63  0.11
27 C -0.57 -0.58 -4.20  -0.26
28 H -1.64 -0.75 -4.28  0.12
29 C 0.32 -1.72 -3.99  -0.34
30 H -0.03 -2.75 -3.87  0.15
31 C 1.73 -1.37 -4.21  -0.22
32 H 2.49 -2.15 -4.18  0.09
33 C 2.03 -0.03 -4.65  -0.16
34 H 3.02 0.16 -5.09  0.14
35 H 1.98 3.28 -2.78  -0.03
36 Si 0.57 -1.04 -5.68  0.63
37 C 0.65 -2.52 -6.87  -0.20
38 C -0.21 -2.54 -7.97  -0.08
39 H -1.04 -1.83 -8.03  0.11
40 C 0.00 -3.43 -9.03  -0.06
41 H -0.64 -3.38 -9.91  0.11